International & Academic Partnership
CRICOS No: 00114A
Flinders University is ready to welcome you, and help you realise your ambitions.
Ranked 266 in the world,* Flinders University is everything a modern university should be – progressive, student focused and career minded. You will study alongside like-minded individuals who will challenge and inspire you to search for new knowledge, to be innovative, entrepreneurial and enterprising, and to create ideas that will make a difference.
We measure our success by yours. Flinders is invested in your future. Our degrees are designed to help you go beyond just learning to earning, through industry-linked and accredited degrees, professional placement opportunities, industry projects and mentoring programs.
One of the aspects that makes Flinders University stand out is our core values of Excellence, Innovation, Courage and Integrity. We’re not just committed to the quality of your learning here and now, but we’re committed to helping create a more sustainable future for all, reflected in our focus on the environment and sustainability.
These data records were left in the text by mistake =
- - -
# 1
Starting from a cell relaxed with PBE+U, the X-ray powder pattern of Bi2Te2WO10 was calculated for CuKα.
Neutral-atom scattering factors, no anomalous dispersion.

Peak list (10 most intense, 15 to 90 degrees two-theta, by angle)
- hkl 3 1 -1, 27.08 deg, I 100
- hkl 1 1 3, 27.57 deg, I 97
- hkl 0 2 0, 31.34 deg, I 26
- hkl 2 0 -4, 31.69 deg, I 29
- hkl 4 0 2, 31.94 deg, I 27
- hkl 2 2 -4, 45.17 deg, I 24
- hkl 4 2 2, 45.36 deg, I 23
- hkl 5 1 -5, 53.41 deg, I 18
- hkl 1 1 -7, 54.24 deg, I 15
- hkl 5 1 5, 54.57 deg, I 16

Atomic structure:
a = 12.6864 Å, b = 5.7077 Å, c = 12.4814 Å
α = 90.00°, β = 91.24°, γ = 90.00°
Space group C2/c (No. 15)
Asymmetric unit:
1 Bi 0.0910 0.2419 0.0433 (multiplicity 8)
2 Te 0.1907 0.2669 0.3591 (multiplicity 8)
3 W 0.0000 0.1765 0.7500 (multiplicity 4)
4 O 0.0008 0.0925 0.9010 (multiplicity 8)
5 O 0.0752 0.3958 0.4386 (multiplicity 8)
6 O 0.1109 0.3765 0.7440 (multiplicity 8)
7 O 0.1148 0.1128 0.2448 (multiplicity 8)
8 O 0.2171 0.0003 0.4512 (multiplicity 8)

---

# 2
Starting from a cell relaxed with PBE+U, the X-ray powder pattern of TlBiW2O8 was calculated for CuKα.
Neutral-atom scattering factors, no anomalous dispersion.

Peak list (10 most intense, 15 to 90 degrees two-theta, by angle)
- hkl 2 2 0, 26.69 deg, I 100
- hkl 3 1 -2, 27.68 deg, I 17
- hkl 2 2 -2, 28.76 deg, I 71
- hkl 0 0 2, 30.95 deg, I 31
- hkl 4 0 -2, 32.74 deg, I 30
- hkl 3 1 0, 32.92 deg, I 16
- hkl 0 4 2, 45.68 deg, I 14
- hkl 3 5 -2, 49.68 deg, I 14
- hkl 3 5 0, 53.07 deg, I 14
- hkl 2 2 -4, 54.89 deg, I 17

Atomic structure:
a = 11.0118 Å, b = 10.9362 Å, c = 7.5514 Å
α = 90.00°, β = 130.07°, γ = 90.00°
Space group C2/c (No. 15)
Asymmetric unit:
1 Tl 0.0000 0.2045 0.2500 (multiplicity 4)
2 Bi 0.0000 0.2182 0.7500 (multiplicity 4)
3 W 0.1923 0.4951 0.7197 (multiplicity 8)
4 O 0.0200 0.3936 0.9709 (multiplicity 8)
5 O 0.1314 0.0813 0.6871 (multiplicity 8)
6 O 0.1875 0.4358 0.4421 (multiplicity 8)
7 O 0.2233 0.1554 0.1316 (multiplicity 8)

----------

(1)
Calculated X-ray powder pattern
Compound: HfZnNi2
Radiation: Cu Kα, 1.54184 Å
Structure: a DFT-relaxed cell (GGA-PBE, OQMD)
Lines closer than 0.1° are merged.

Peak list (10 most intense, 10 to 90 degrees two-theta, most intense first)
2θ/deg	d [Å]	I_rel
42.64	2.120	100
40.84	2.209	57
75.61	1.258	35
32.59	2.748	20
59.14	1.562	19
15.35	5.773	18
79.29	1.208	15
28.57	3.125	14
64.57	1.443	7
88.51	1.105	6

Structure:
Cell: 3.1245 3.1245 5.7732 Å, 90.00 90.00 90.00°
Sites, in units of the cell vectors:
Hf 0.0000 0.0000 0.0000
Zn 0.0000 0.0000 0.5000
Ni 0.5000 0.5000 0.2659
Ni 0.5000 0.5000 0.7341

=====

(2)
Calculated X-ray powder pattern
Compound: Hf2ZnNi3
Radiation: Cu Kα, 1.54184 Å
Structure: a DFT-relaxed cell (GGA-PBE, OQMD)
Lines closer than 0.1° are merged.

Peak list (10 most intense, 10 to 90 degrees two-theta, most intense first)
2θ/deg	d [Å]	I_rel
42.96	2.105	100
38.74	2.324	71
73.03	1.296	40
29.26	3.052	38
55.94	1.644	25
21.62	4.111	17
81.54	1.181	12
44.79	2.023	10
64.38	1.447	9
- - -
At Flinders University, we have a vision to be internationally recognised as a world leader in research, an innovator in contemporary education, and the source of highly valued enterprising graduates. This vision drives us to constantly challenge the way we think and act on every level.
Our research is rapidly growing in funding and scale, and our global reach is extending through international collaborations in research and education. Active engagement with business and industry is giving our students access to placements and research opportunities with leading companies and employers across the globe.
Bold opportunities await you at Flinders.
*(THE World University Rankings 2022)
Mount Elizabeth Hospital, a 345-bed private tertiary acute care hospital, is one of the largest in the region and has an established reputation in private healthcare in Asia.
Recognised throughout the region for its speciality services and excellent physicians, Mount Elizabeth Hospital offers Cardiology, Neurosciences, and many other tertiary services. It opened the first private cancer centre in the region and was the first private hospital in Singapore to offer Cardiac Catheterisation, Cardiac and Neurosurgery and other advanced medical procedures.
The hospital provides a wide range of medical and surgical services and is known for its specialists’ expertise, quality nursing care and state-of-the-art technology. Mount Elizabeth Hospital performs the largest number of cardiac surgeries and neurosurgeries in the private sector in the region. The hospital is Joint Commission International accredited.
Mount Elizabeth Hospital and the Executive Counselling & Training Academy’s Partnership
Mount Elizabeth Hospital provides ECTA Interns the following privileges:
- Access to the psychological and behavioural facilities;
- Counselling of inpatients under supervision;
- Observation of treatment procedures such as art therapy, behavioural therapy and any other therapeutic modalities;
- Teaching and supervision by the professional staff members of Mount Elizabeth Hospital e.g., psychiatrists, nursing officers, psychologists, psychotherapists at Mount Elizabeth Hospital;
- Consultation rooms of counselling of clients;
- Seminar rooms facilities for course previews, workshops and seminars; and
- Collaboration in joint projects such as organising of conferences/ workshops for the mental health professionals.
All ECTA Interns are indemnified professionally and trained on issues of confidentiality, boundaries and ethics.

Parkway College of Nursing and Allied Health (Parkway College) is a wholly-owned subsidiary of Parkway Holdings Pte Ltd.
Parkway College aspires to be the premier global private educational institution in the niche fields of Nursing, Allied Health and Healthcare Management. It provides opportunities for life-long learning, and equip its students with the skills and knowledge to succeed in the workplace.
Parkway College of Nursing and Allied Health and the Executive Counselling & Training Academy’s Partnership
Parkway College provides ECTA Interns the following privileges:
- Clinical placements; and
- Counselling facilities.